Wednesday, May 11, 2011

Don't say I didn't warn you...

...but if you are unfamiliar with Angry Birds, or at the very least annoyed by the fact that the only way that you could play Angry Birds would be if you had a trendy Apple portable device that just isn't in your budget these days, you need to try the in-browser version of Angry Birds at  Yes, this does mean that you will need to use Google's Chrome browser. I had not played it at all before tonight, and I have to say that it has all of the hallmarks of a good game.  1) It is easy to learn.  2) It is difficult to master.  3) Most objects are self-explanatory.  The game does also explain the few things you need instruction for with simple pictographs. My older son was yelling "Kill those pigs!" after just a couple of minutes of watching, and I expect he will give it a whirl tomorrow.  It really sucks you in - so keep a clock handy.

┌──
C2H4I2S | ωB97M-V with the def2-TZVPD basis set

Values from the calculation:
- HOMO level: -0.32310 Eh
- Relative energy (zero: lowest compared OMol25 entry of this formula, charge and spin): 1.429 eV
- Lowest unoccupied orbital energy: -0.111 eV
- Net charge: 0
- DFT total energy: -29173.1888 eV

```
9
Properties=species:S:1:pos:R:3:lowdin_charge:R:1
C -0.74931 0.50559 0.25787 -0.578
C 1.07473 0.06198 -0.51595 -1.321
S -1.91626 -0.81110 -0.24755 0.585
I 2.52612 1.41333 0.18277 0.679
I 1.29872 -1.91417 0.17912 0.725
H -0.76278 0.57113 1.33389 0.019
H -0.91371 1.50490 -0.29601 0.062
H 1.04023 0.27470 -1.66967 0.017
H -1.59774 -1.60637 0.77554 -0.188
```
└──

Tuesday, May 10, 2011

# The entry is interrupted by records of molecules
┌──
Record 1
Computed, not measured: a 10-piece molecular cluster, C24H67NO10 overall, with the ωB97M-V functional and the def2-TZVPD basis.

Element x y z (Å)
C 10.68159 -1.54188 14.09263
C 9.25407 -1.49467 14.60673
C 8.28169 -1.31305 13.36895
C 6.86867 -1.48432 13.70195
C 6.62642 -2.86548 14.30452
C 7.56249 -3.21316 15.56026
N 8.94345 -2.71506 15.35818
O 9.80784 -3.09139 16.49991
C 6.98937 -2.52696 16.90263
C 7.47680 -4.74383 15.70429
C 9.13496 -0.29129 15.50116
H 10.93156 -0.57864 13.64791
H 11.01460 -2.31964 13.40540
H 11.40978 -1.70381 14.88737
H 8.30634 -0.27779 13.02879
H 8.59272 -1.92499 12.52225
H 6.29559 -1.25757 12.80293
H 6.51781 -0.75369 14.43077
H 6.87163 -3.60266 13.53997
H 5.56112 -2.94832 14.51987
H 6.13818 -1.87486 16.70678
H 6.63536 -3.26072 17.62676
H 7.76021 -1.92824 17.38786
H 7.95074 -5.17313 14.82157
H 8.02297 -5.06276 16.59202
H 6.41437 -4.94928 15.83516
H 8.27616 -0.33059 16.17126
H 9.18389 0.69598 15.04179
H 10.02650 -0.30639 16.12807
H 10.14139 -3.90526 16.11527
C 5.86494 -8.73616 20.40332
C 6.40624 -7.77536 21.50185
O 7.76319 -7.95481 21.78237
H 6.56098 -8.67734 19.56656
H 4.82126 -8.50105 20.19463
H 5.91691 -9.75759 20.78024
H 5.71427 -7.99766 22.31415
H 6.25767 -6.72574 21.24821
H 8.00677 -7.17251 22.28264
C 12.75099 -9.06040 21.25450
C 11.33088 -8.64962 21.66787
O 10.48266 -9.10984 20.64438
H 12.99771 -8.54652 20.32544
H 12.67372 -10.12119 21.01607
H 13.46592 -8.73381 22.00968
H 11.12611 -7.59028 21.82279
H 10.99678 -9.16218 22.56995
H 9.56488 -9.07972 20.92434
C 8.46032 -9.74573 16.19817
C 8.15605 -10.51810 14.93682
O 9.32875 -11.19727 14.46616
H 9.31003 -9.09266 15.99925
H 8.65850 -10.39849 17.04831
H 7.60309 -9.13538 16.48229
H 7.65158 -9.93333 14.16762
H 7.39155 -11.19806 15.31271
H 9.66863 -11.81501 15.11768
C 9.59771 -5.54827 19.33507
C 10.82828 -6.11969 18.68377
O 10.51862 -7.36254 18.03076
H 9.81211 -4.57709 19.78113
H 9.17800 -6.22843 20.07624
H 8.80411 -5.34434 18.61625
H 11.61055 -6.32510 19.41449
H 11.21095 -5.38880 17.97141
H 10.33622 -7.98847 18.73542
C 13.04143 -11.61605 17.26975
C 11.63753 -11.08058 16.78472
O 10.77389 -12.20481 16.82357
H 13.07681 -12.03715 18.27448
H 13.74081 -10.78568 17.17248
H 13.38228 -12.37079 16.56102
H 11.77335 -10.57724 15.82749
H 11.35341 -10.31594 17.50771
H 10.62437 -12.53286 17.71331
C 10.75411 -5.78496 12.99569
C 10.52488 -6.77046 14.19198
O 10.57492 -6.06436 15.39350
H 10.05712 -4.94765 12.96075
H 10.73888 -6.29409 12.03202
H 11.77908 -5.43354 13.11415
H 11.20951 -7.60905 14.31911
H 9.54813 -7.23797 14.06760
H 10.62926 -6.73504 16.07820
C 12.97016 -5.34461 22.03330
O 11.63535 -4.92109 22.34424
H 13.19295 -4.94012 21.04595
H 13.73015 -4.93196 22.69680
H 13.03024 -6.42201 22.18722
H 11.45194 -4.02290 22.05927
C 8.02123 -4.87522 23.16938
O 8.89867 -5.94428 23.24268
H 8.22947 -4.29412 22.27102
H 7.01352 -5.26336 23.02115
H 8.10494 -4.23905 24.05050
H 9.77857 -5.64717 22.99959
C 15.03967 -6.24875 19.25703
O 15.87567 -5.30359 19.88933
H 14.21198 -5.62077 18.92738
└──

Even I have a limit.

After I finished No More Heroes 2:Desperate Struggle on its easy "Sweet" mode, I thought that I would give Suda51's American debut, Killer7, another try.   I had heard so much about it before I played it, and had agonized over purchasing it several times but had passed over it in favor of more action-friendly titles like Devil Kings, Sengoku Basara, and Ghost Squad.  Once I finally purchased it, I played about as far as the first puzzle and stopped.  My kids clamored for me to put Pikmin back in the Game Cube so that they could watch it.  It's more soothing and pastoral than Killer7.  Killer7's visuals, although mostly flat-shaded polygons reminiscent of Star Fox for Super Nintendo and the old I,Robot arcade game from 1983, still have some appeal since they were done with so much style.  The sound design is good, and the story is wacky enough that even Twin Peaks and Lost fans need to actively pay attention.  Sadly, it's not enough.

I had been reminded before that bad controls can ruin a game.  I wasn't that excited about Resident Evil 2 at the time that it came out, because the loading screen between rooms and the tank controls were a big turnoff, especially with having to fend off zombies.  Even though RE2 had made big improvements over the first game, it wasn't enough for me to want to play it because during the few instances where combat was required, I felt totally ineffective.  Since one of the two characters you play as in RE2 is a cop, you would think that feeling ineffective would be a bad thing.  The designers played it off by saying that the control scheme increased the player's fear, making something that was only slightly scary somewhat scarier.  For me, that wasn't it.  It was feeling like I wasn't really controlling the character that kept my immersion level in the game pretty low.  I liked the story and the characters, and I even played the Resident Evil light shooter game Dead Aim, since you could actually aim at your targets in a useful way.  When Resident Evil 4 came out, I thought that most of the problems that I had with the controls had been fixed.  When I tried to show RE4 to my buddies, however, they viewed the game in the context of first-person shooters and were annoyed that you couldn't strafe or even shoot while moving.  I was too excited about an over-the-shoulder camera to care at that point.  The Wii version of RE4 did me one better by allowing direct aiming with the Wiimote. (Awesome!)  So, I was immersed in the game sufficiently.

Now, let's go back to Killer7.  Moving the character in that game is mapped to what normally would be the action buttons for a Gamecube game, A and B.  A to go forward, B to turn around.  Any feeling of directly controlling the character with the... , controller, goes away.  You only use the analog stick to aim while shooting, or to pick a direction to walk when there is more than one way to go. Like Resident Evil, you can only shoot when stationary, and you to have to use the R trigger to ready your weapon (which is oddly similar to RE4). Add to this that most enemies are invisible until 'scanned' with the L button, and it starts getting a little silly.  So, the controls are wacky to me, and I'm never really 'in' the game.  The other disconcerting thing is that the other members of the Killer7, the group that your character is part of, have unique abilities, and you have to run back to a save room to switch when you need to use that ability, and it's another thing that takes you out of the game.  In the majority of games, you have a main character that the player identifies with for most of the game.  I don't really mind the occasional side mission with another character - The Onimusha series and the Ratchet & Clank series both seem to do this well - but seven feels like too many and potentially distracting.  If you could start with anybody from the very beginning so each individual gamer had somebody they could identify with, maybe it would be better, but it's hard to say since I haven't played though enough of the game to really get the big picture on how the 7 different personalities all fit together.

I really like what Suda51's Grasshopper Manufacture team did with the two No More Heroes games, and I know that he worked alongside some of Capcom's people before.  I would have liked Killer7 better if it had used the same game engine as RE4, even if only so that I could move the character a little more directly.  As it turns out, Suda51 and the Resident Evil team are working together on a new game that should be out pretty soon - Shadows of the Damned. (If you're afraid of Electronic Arts or depictions of demons or sidekicks that are actually weapons that have double entendre-laden names, don't follow the link.) As usual, it will be a while before I play it but the trailers are promising to have horror, action, and Suda51's trademark wackiness.

I also got to see a Nintendo 3DS handheld in person (finally) and was unimpressed with the 3-D.  Yes, it's 3-D, but as usual all of the visual cues for depth are coming from the edges of objects and not the surfaces of objects, so we see them as layers like a pop-up book.  I did like that Super Street Fighter IV did not try to make anything closer than the plane of the screen, though. (Maybe it's where I had the slider set.)  I also like that it had enough horsepower to match SSFIV's painting-influenced visuals.  I don't really like playing fighting games on a handheld, though.  Usually there aren't enough buttons, but that is not an issue now.  Now the only issue is that I didn't like the D-pad that much and the circle pad seemed to only be helpful for fireballs but not dragon punches.  If I had chosen a character with 'charge' style special moves like Guile, it might have been easier.  Even so, I would rather have a more fighting-game-specific controller in my hands.  My current faves are the Nubytech/UDON controllers - I have a Ryu one for PS2 and an Akuma one for XBox.  So, as usual, it seems to be all about the controller.  I hope that the 3DS controls work better for their first party titles like Pilotwings Resort and The Legend of Zelda:Ocarina of Time. I would expect them to, as they are more suited to those kinds of games than they are suited to Street Fighter.  I'm sure I'll eventually deal with it, but if it's too wacky and unintuitive to control I can't be bothered.  After all, as much as I like these games, I do have a limit.